Is Pepsi Okay? The Power of Persuasion

Cardi B has been my favorite artist since she first started coming out with music. She has does not try to forget or hide her past, but instead embraces the Bronx she rose up from on her way to becoming a famous celebrity. Cardi B has gained stardom through her music, social media presence, and personailty. In 2019, Forbes recognized her as the most influential female rapper of all time. Females all over the world, myself included, find Cardi B inspiring for not caring what other people think of her. You can imagine my excitement when I watched her in a Pepsi commercial. I wanted a Pepsi immedietly; that is the power of persuasion. The “More Than Okay” Pepsi Super Bowl commercial effectively used the power of persuasion by using ethos and pathos to reach many groups of people and convince them that Pepsi is more than okay. This commercial promotes Pepsi as being more than just a subsititue for Coca-Cola. Pepsi’s purpose in creating this commericial is to convince customers that Pepsi is the best option. They adopt a passionate tone, use celebrities, and play popular songs in order to advertise their brand and keep viewers engaged.

The commercial begins when a customer asks for a coke, and the waiter responds with “Is Pepsi okay?” He did this because Pepsi has been known as the underdog to Coca-Cola for many years. Pepsi uses the word “okay”, which at this point in the commercial means acceptable. They do this because the phrase “is Pepsi okay?” is so commonly used. During the next part of commercial, another actor, Steve Carrell, is appalled by this interaction. He then asks them if lives greatest things are okay by referncing to puppies, shooting stars, and laughing babies. The author uses Pathos to appeal to the audiences’ emotion. Carrell is defending Pepsi’s name, and since he is famous, the audience is more persuaded.

By the end of commercial, we have seen three celebrities who all say that Pepsi is okay. The celebrities used, Cardi B, Steve Carrell, and Lil Jon, have largely different fan bases. Cardi B appeals largely to females. Lil Jon appeals largely to urban communities. Steve Carrell has been famous for a longer period of time then the other two, making him appeal to older people and anyone who likes to laugh. This makes the ad appeal to greater range of audiences. Pepsi changes the meaning of okay during the commercial by using it in a much more positive tone. By changing the meaning of okay and using ethos and pathos, Pepsi makes their product much more desirable. At the end of the commercial, the girl who originally asked for Coke is mesmorized by all the celebrities and wants a Pepsi. The tone of her voice illustrates what Pepsi wants their viewers reactions to be like.
All in all, Pepsi’s commercial does a good job of convincing customers that Pepsi is the best option. They do this by utilizing ethos and pathos strategies like use of celebrities, playing popular music, relating to popular trends, appealing to nurture, and changing the meaning of okay.
The “More Than Okay” Pepsi ad was successful, however use of a celebrity does not always make for a good commercial. In 2017, an ad featuring Kendall Jenner appearing to bring a protest to an end by sharing Pepsi has been slammed on social media, with some calling out the scene for exploiting the “Black Lives Matter” movement.
The commercial begins with Kendall Jenner taking off her white wig to join a protest. In Pepsi’s version of the protest, no one seems too worked up about anything. Jenner fist-bumps an activists before grabbing a can of Pepsi from a well-stocked ice-bucket. Then comes the ad’s climax — and perhaps the part that has caused most uproar. Jenner reaches the remarkably calm front-line of the protest. She spots an officer, walks up to him and hands him the Pepsi. He takes a sip and everybody cheers. Pepsi was trying to appeal to a younger crowd, so they based the commercial around things a younger audience would relate too including protests and the black lives matter movement, and the Jenners.

Data records, as found in the file:
1.
Density functional theory data (the ωB97M-V functional and the def2-TZVPD basis) for C4H10BN as an isolated structure.

```
16
Properties=species:S:1:pos:R:3:forces:R:3:nbo_charge:R:1
B -1.093388 1.072105 0.960072 1.1 -1.3 -0.6 0.597
C -0.745268 -0.420868 1.434939 0.8 -0.7 -3.3 -0.723
C -0.477464 -1.164552 -0.333816 -1.9 4.9 3.6 -0.353
C 0.168869 0.155227 -0.903489 -1.3 -2.6 -3.0 -0.076
C 1.644504 0.037067 -0.650646 1.9 -1.1 0.3 -0.634
N -0.569456 1.257000 -0.341363 -1.0 1.2 0.6 -0.834
H -1.718611 1.927530 1.470505 -0.3 0.2 0.2 -0.069
H 0.258564 -0.654230 1.842389 -0.8 0.3 0.2 0.228
H -1.548990 -0.987024 1.875274 0.0 -0.2 0.5 0.218
H 0.173607 -1.901660 -0.069652 1.6 -2.3 -0.1 0.193
H -1.487150 -1.442261 -0.620220 0.2 0.0 -0.5 0.206
H 0.026903 0.110780 -2.053218 0.1 0.4 1.6 0.192
H 1.984625 0.509117 0.246380 -0.4 -0.2 1.4 0.217
H 2.353302 0.551707 -1.275264 -0.3 0.3 -1.3 0.218
H 2.016421 -1.053994 -0.670397 -0.7 1.7 0.2 0.211
H -0.986467 2.004053 -0.911493 1.0 -0.6 0.1 0.409
```
Positions in Å, forces in eV/Å.

- gap between HOMO and LUMO (Ha) = 0.3663
- energy relative to the best compared isomer or geometry (same formula, charge and spin) (kJ/mol) = 136.6
- largest force on an atom (Eh/bohr) = 0.123
- net charge = 0

***

2.
Density functional theory data (the ωB97M-V functional and the def2-TZVPD basis) for an isolated molecule of C4H10BN.

```
16
Properties=species:S:1:pos:R:3:forces:R:3:nbo_charge:R:1
C 1.664780 1.300867 -0.150994 -3.3 -0.3 -2.5 -0.385
N 0.777398 0.133279 -0.077069 -0.1 -0.3 0.1 -0.650
C 1.344418 -1.172899 -0.507143 -2.9 0.4 -0.8 -0.394
B -0.522806 0.137003 0.405277 -1.8 -0.3 -0.6 0.789
C -1.985799 0.755619 0.395316 -1.1 -0.4 -0.4 -0.716
C -1.790632 -0.789534 0.555184 1.1 -0.5 -0.3 -0.751
H 2.312973 1.129017 -0.981615 0.7 0.3 -0.5 0.189
H 1.003656 2.174551 -0.357820 0.7 -0.4 0.2 0.211
H 2.159816 1.428809 0.724010 1.8 0.5 2.6 0.188
H 0.363289 -1.823174 -0.641268 2.6 0.8 0.3 0.227
H 1.915831 -1.072012 -1.447499 -0.5 0.0 0.2 0.189
H 2.015184 -1.494060 0.237396 0.7 -1.0 0.9 0.187
H -2.582938 1.235955 1.222797 1.0 -0.4 -0.9 0.235
H -2.480065 0.915288 -0.615021 0.9 0.5 1.2 0.231
H -2.061552 -1.547979 -0.186693 0.0 0.8 -0.7 0.219
H -2.133546 -1.310732 1.425146 0.2 0.5 1.2 0.231
```
Positions in Å, forces in eV/Å.

- gap between HOMO and LUMO (Ha) = 0.3474
- energy relative to the best compared isomer or geometry (same formula, charge and spin) (kJ/mol) = 194.1
- largest force on an atom (Eh/bohr) = 0.082
- net charge = 0

***

3.
Density functional theory data (the ωB97M-V functional and the def2-TZVPD basis) for a 2-piece molecular cluster, C4H10Br overall.

```
15
Properties=species:S:1:pos:R:3:forces:R:3:mulliken_spin:R:1
Br -1.078149 3.372156 -1.138241 -0.3 0.6 -0.2 0.002
H -0.492788 2.169950 -0.741964 0.3 -0.6 0.2 0.002
C 0.213069 -0.762958 0.259772 -0.3 1.2 -0.4 0.829
C 1.437367 0.034044 0.703606 -0.9 0.8 -0.6 -0.004
C 0.057366 -0.992797 -1.237614 -0.3 1.2 0.0 -0.004
C -1.072755 -0.517003 1.036271 0.0 1.0 -0.5 -0.004

Despite their efforts, the ad sparked accusations that Pepsi has appropriated a racial protest movement to sell a global fizzy drinks brand. Common issues people found with the ad were that it was nothing like real life protests, and disrespects the movement as a whole. The signs used in the ad have been called “utterly meaningless” by saying things such as love, peace, and join the conversation. When Kendall Jenner takes off her wig to join the protest, she throws it at a black woman. This can be taken in a degrading way, especially when promoting an event that is supposed to be supporting black lives. The biggest controversial part of this commercial is the message it sends to the audience. The commercial makes it seem like sharing a Pepsi would would solve all the problems of police brutality and the black lives matter movement, and to make it worse those chose a rich, celebrity to play the main character.
When using the power of persuasion, it is imperative to consider what message you are trying to send. The “More Than Okay” Pepsi commercial does a great job of employing many persuasive techniques, relating to a range of audiences, and sending a message that many can relate to with the idea that Pepsi is more than okay.
Aristotle. On Rhetoric: A Theory of Civil Discourse. Translated by George A. Kennedy, Oxford UP, 2007.
Smith, Alexander. “Pepsi Pulls Controversial Kendall Jenner Ad After Outcry.”, NBCUniversal News Group, 5 Apr. 2017,
a21aaron. “Cardi B Pepsi Super Bowl Commercial, Steve Carell, Lil Jon 2019 Super 53.” YouTube, YouTube, 3 Feb. 2019,
ABCNews. “Pepsi, Kendall Jenner Protest Ad Called ‘Tone Deaf’.” YouTube, YouTube, 5 Apr. 2017,